_Exercise_
Set down the whole of the notes below with every line break kept, please.

_Listing_
# 1
DFT (PBE with a Hubbard U) results for a geometry-optimized Ba2ScFeAsO3 structure.

Computed properties:
ΔH_f (0 K) = -2444 meV/atom
Symmetry = No. 27

a = 5.989 Å, b = 5.968 Å, c = 17.149 Å
α = 90.00°, β = 90.00°, γ = 90.00°
Positions (direct):
Ba1 0.250 0.000 0.585
Ba2 0.750 0.000 0.415
Ba3 0.750 0.498 0.808
Ba4 0.250 0.500 0.415
Ba5 0.750 0.998 0.192
Ba6 0.250 0.499 0.192
Ba7 0.250 0.999 0.808
Ba8 0.750 0.500 0.585
Fe1 0.000 0.247 0.000
Fe2 0.500 0.262 0.000
Fe3 0.000 0.747 0.000
Fe4 0.500 0.762 0.000
O1 0.000 0.750 0.295
O2 0.000 0.750 0.705
O3 0.750 0.500 0.429
O4 0.500 0.250 0.705
O5 0.250 0.500 0.571
O6 0.750 0.000 0.571
O7 0.500 0.250 0.295
O8 0.000 0.250 0.705
O9 0.500 0.750 0.705
O10 0.000 0.250 0.295
O11 0.500 0.750 0.295
O12 0.250 0.000 0.429
Sc1 0.750 0.000 0.687
Sc2 0.750 0.500 0.313
Sc3 0.250 0.500 0.687
Sc4 0.250 0.000 0.313
As1 0.749 0.498 0.089
As2 0.251 0.498 0.911
As3 0.749 0.998 0.911
As4 0.251 0.998 0.089


# 2
DFT (PBE with a Hubbard U) results for a geometry-optimized Mg3Cr2Si3O12 structure.

Computed properties:
ΔH_f (0 K) = -2969 meV/atom
Symmetry = No. 230

a = 10.184 Å, b = 10.184 Å, c = 10.184 Å
α = 109.47°, β = 109.47°, γ = 109.47°
Positions (direct):
Cr1 0.000 0.500 0.000
Cr2 0.500 0.500 0.000
Cr3 0.000 0.000 0.000
Cr4 0.500 0.500 0.500
Cr5 0.500 0.000 0.000
Cr6 0.000 0.000 0.500
Cr7 0.000 0.500 0.500
Cr8 0.500 0.000 0.500
Mg1 0.125 0.375 0.750
Mg2 0.625 0.875 0.750
Mg3 0.250 0.875 0.625
Mg4 0.125 0.250 0.375
Mg5 0.875 0.750 0.625
Mg6 0.375 0.125 0.250
Mg7 0.750 0.125 0.375
Mg8 0.625 0.250 0.875
Mg9 0.750 0.625 0.875
Mg10 0.250 0.375 0.125
Mg11 0.875 0.625 0.250
Mg12 0.375 0.750 0.125
O1 0.624 0.412 0.104
O2 0.104 0.624 0.412
O3 0.588 0.191 0.211
O4 0.020 0.309 0.896
O5 0.980 0.789 0.876
O6 0.876 0.396 0.088
O7 0.191 0.480 0.604
O8 0.711 0.691 0.088
O9 0.789 0.412 0.809
O10 0.396 0.088 0.876
O11 0.211 0.124 0.020
O12 0.309 0.896 0.020
O13 0.191 0.211 0.588
O14 0.124 0.604 0.912
O15 0.588 0.896 0.376
O16 0.480 0.376 0.289
O17 0.020 0.211 0.124
O18 0.691 0.104 0.980
O19 0.711 0.520 0.624
O20 0.604 0.191 0.480
O21 0.088 0.711 0.691
O22 0.691 0.088 0.711
O23 0.396 0.809 0.520
O24 0.604 0.912 0.124
O25 0.520 0.396 0.809
O26 0.309 0.912 0.289
O27 0.480 0.604 0.191
O28 0.376 0.588 0.896
O29 0.896 0.376 0.588
O30 0.104 0.980 0.691
O31 0.624 0.711 0.520
O32 0.896 0.020 0.309
O33 0.412 0.809 0.789
O34 0.876 0.980 0.789
O35 0.520 0.624 0.711
O36 0.124 0.020 0.211
O37 0.088 0.876 0.396
O38 0.412 0.104 0.624
O39 0.211 0.588 0.191
O40 0.912 0.124 0.604
O41 0.289 0.480 0.376
O42 0.376 0.289 0.480
O43 0.912 0.289 0.309
O44 0.980 0.691 0.104
O45 0.289 0.309 0.912
O46 0.789 0.876 0.980
O47 0.809 0.520 0.396
O48 0.809 0.789 0.412
Si1 0.875 0.250 0.125
Si2 0.125 0.750 0.875
Si3 0.125 0.875 0.250
Si4 0.875 0.125 0.750
Si5 0.625 0.750 0.375
Si6 0.375 0.625 0.750
Si7 0.750 0.375 0.625
Si8 0.625 0.375 0.250
Si9 0.250 0.125 0.875
Si10 0.375 0.250 0.625
Si11 0.750 0.875 0.125
Si12 0.250 0.625 0.375


One value per record, in order, for size of the total moment: 0.000 24.000 μB/cell.

_Result_
# 1
DFT (PBE with a Hubbard U) results for a geometry-optimized Ba2ScFeAsO3 structure.

Computed properties:
ΔH_f (0 K) = -2444 meV/atom
Symmetry = No. 27

a = 5.989 Å, b = 5.968 Å, c = 17.149 Å
α = 90.00°, β = 90.00°, γ = 90.00°
Positions (direct):
Ba1 0.250 0.000 0.585
Ba2 0.750 0.000 0.415
Ba3 0.750 0.498 0.808
Ba4 0.250 0.500 0.415
Ba5 0.750 0.998 0.192
Ba6 0.250 0.499 0.192
Ba7 0.250 0.999 0.808
Ba8 0.750 0.500 0.585
Fe1 0.000 0.247 0.000
Fe2 0.500 0.262 0.000
Fe3 0.000 0.747 0.000
Fe4 0.500 0.762 0.000
O1 0.000 0.750 0.295
O2 0.000 0.750 0.705
O3 0.750 0.500 0.429
O4 0.500 0.250 0.705
O5 0.250 0.500 0.571
O6 0.750 0.000 0.571
O7 0.500 0.250 0.295
O8 0.000 0.250 0.705
O9 0.500 0.750 0.705
O10 0.000 0.250 0.295
O11 0.500 0.750 0.295
O12 0.250 0.000 0.429
Sc1 0.750 0.000 0.687
Sc2 0.750 0.500 0.313
Sc3 0.250 0.500 0.687
Sc4 0.250 0.000 0.313
As1 0.749 0.498 0.089
As2 0.251 0.498 0.911
As3 0.749 0.998 0.911
As4 0.251 0.998 0.089


# 2
DFT (PBE with a Hubbard U) results for a geometry-optimized Mg3Cr2Si3O12 structure.

Computed properties:
ΔH_f (0 K) = -2969 meV/atom
Symmetry = No. 230

a = 10.184 Å, b = 10.184 Å, c = 10.184 Å
α = 109.47°, β = 109.47°, γ = 109.47°
Positions (direct):
Cr1 0.000 0.500 0.000
Cr2 0.500 0.500 0.000
Cr3 0.000 0.000 0.000
Cr4 0.500 0.500 0.500
Cr5 0.500 0.000 0.000
Cr6 0.000 0.000 0.500
Cr7 0.000 0.500 0.500
Cr8 0.500 0.000 0.500
Mg1 0.125 0.375 0.750
Mg2 0.625 0.875 0.750
Mg3 0.250 0.875 0.625
Mg4 0.125 0.250 0.375
Mg5 0.875 0.750 0.625
Mg6 0.375 0.125 0.250
Mg7 0.750 0.125 0.375
Mg8 0.625 0.250 0.875
Mg9 0.750 0.625 0.875
Mg10 0.250 0.375 0.125
Mg11 0.875 0.625 0.250
Mg12 0.375 0.750 0.125
O1 0.624 0.412 0.104
O2 0.104 0.624 0.412
O3 0.588 0.191 0.211
O4 0.020 0.309 0.896
O5 0.980 0.789 0.876
O6 0.876 0.396 0.088
O7 0.191 0.480 0.604
O8 0.711 0.691 0.088
O9 0.789 0.412 0.809
O10 0.396 0.088 0.876
O11 0.211 0.124 0.020
O12 0.309 0.896 0.020
O13 0.191 0.211 0.588
O14 0.124 0.604 0.912
O15 0.588 0.896 0.376
O16 0.480 0.376 0.289
O17 0.020 0.211 0.124
O18 0.691 0.104 0.980
O19 0.711 0.520 0.624
O20 0.604 0.191 0.480
O21 0.088 0.711 0.691
O22 0.691 0.088 0.711
O23 0.396 0.809 0.520
O24 0.604 0.912 0.124
O25 0.520 0.396 0.809
O26 0.309 0.912 0.289
O27 0.480 0.604 0.191
O28 0.376 0.588 0.896
O29 0.896 0.376 0.588
O30 0.104 0.980 0.691
O31 0.624 0.711 0.520
O32 0.896 0.020 0.309
O33 0.412 0.809 0.789
O34 0.876 0.980 0.789
O35 0.520 0.624 0.711
O36 0.124 0.020 0.211
O37 0.088 0.876 0.396
O38 0.412 0.104 0.624
O39 0.211 0.588 0.191
O40 0.912 0.124 0.604
O41 0.289 0.480 0.376
O42 0.376 0.289 0.480
O43 0.912 0.289 0.309
O44 0.980 0.691 0.104
O45 0.289 0.309 0.912
O46 0.789 0.876 0.980
O47 0.809 0.520 0.396
O48 0.809 0.789 0.412
Si1 0.875 0.250 0.125
Si2 0.125 0.750 0.875
Si3 0.125 0.875 0.250
Si4 0.875 0.125 0.750
Si5 0.625 0.750 0.375
Si6 0.375 0.625 0.750
Si7 0.750 0.375 0.625
Si8 0.625 0.375 0.250
Si9 0.250 0.125 0.875
Si10 0.375 0.250 0.625
Si11 0.750 0.875 0.125
Si12 0.250 0.625 0.375


One value per record, in order, for size of the total moment: 0.000 24.000 μB/cell.